Key Notes of Sonning L.T.C.’s History
Did you know………
- Sonning LTC founded on 28th May 1946. Membership fees were 25 shillings for adults and 10 shillings and 6 pence for juniors.
- Dora Ballard died on court from a massive heart attack in 1986 whilst playing tennis. The Ballard Trophy is awarded to the winners of the May American Tournament.
- Parsons Trophy donated to the club in memory of Tony Parsons by his widow, Brenda. Awarded to the winners of the September American Tournament.
- Ric Lee, former drummer with the Jaybirds and member of SLTC, organised and performed at a fund raising event to raise money for resurfacing the courts and Royal Berks. Audiology Unit.
- It wasn’t till 1990 that the club house gets running water and it was another eleven years before we got electricity.
- 1987 the ‘Great Hurricane’ resulted in a poplar tree being blown onto the courts. Tree sawn and debris removed in time for club afternoon by club members.
- 1988 3rd court built, necessitating need to move the club house to its present position. You can still see the concrete base along the side of the 3rd court.
- After a gap of many years, club championships and playing in the Berkshire leagues resumed in 2002.
- May 21st 2006 we celebrated our Diamond Jubilee playing a wooden rackets tournament in the pouring rain. Money raised was donated to the Age Related Macular Degeneration Society in honour of Sheila Loudwell.
Written by Michael Loudwell
Prior to and during the 1939 – 1945 war there were two public courts in King George V playing fields in Sonning. These courts had a grey gravel surface with plastic white tapes for line marking. The courts had to be ‘dragged’ after play to level out the surface.
On 11th May 1946, a meeting of interested parties was held in the Sports Pavilion to discuss the formation of a tennis club. A Mr. Duncan Vincent took the chair for this meeting and it was agreed that the proposal to be put to the Parish Council.
On the 28th May 1946 a further meeting was held, the Parish Council had agreed to the formation of a tennis club with a playing season of 1st April to 31st October. The rental for this season was to be £35 chargeable to the club. Membership fees were set at 25 shillings for a senior, 10 shillings and sixpence for a junior. Mr T Vincent was elected President and Chairman.
The first season was a success and the first annual general meeting was held on the 19th April 1947 when a cash in hand balance of £14 was declared. The first club tournament was arranged for the 30th June 1947.
In 1948 it was agreed that the use of the courts to be opened to the White Hart Hotel (now the Great House) and French Horn Hotel for a visitor’s fee of 5 guineas a year. The teaching staff of the Reading Blue Coat School were also to be allowed to be members.
In 1949 four American Tournaments were held on summer Sundays and Club knockout tournaments were held.
In 1950 a representative of the Parish Council joined the Club Committee, the rental was increased to £50 but the playing season was extended to 1st march to 31st October. The Council agreed that a limited number of members not resident in Sonning or Sonning Eye be allowed, the Club Committee to use their discretion in this matter.
In 1951 the season was extended to the end of December, the rental fee was raised by £3 in respect of this extension. Membership fee was increased by 5 shillings.
In 1954, Mr. T. Vincent who had been President cum Chairman for a number of years resigned and Mr. Bennett Palmer was elected to the position. In the summer of 1954 two tennis matches were held against Woodley Tennis Club.
In 1955 home matches against, Woodley, Twyford and Shiplake were arranged.
┌──
(1)
{
  "formula": "C9H14BF",
  "method": "ωB97M-V/def2-TZVPD",
  "species": ["C", "C", "C", "B", "C", "F", "C", "C", "C", "C", "C", "H", "H", "H", "H", "H", "H", "H", "H", "H", "H", "H", "H", "H", "H"],
  "coordinates": [[-0.37, 1.02, 3.83], [0.32, 0.97, 2.70], [-0.01, 1.76, 1.45], [-0.61, 0.66, 0.50], [0.42, -0.25, -0.38], [1.74, -0.12, 0.20], [0.10, -1.72, -0.33], [0.69, -2.70, 0.32], [0.60, 0.34, -1.79], [-0.62, 0.16, -2.65], [-0.86, -0.63, -3.70], [-0.01, 0.43, 4.73], [-1.12, 1.80, 3.97], [1.27, 0.51, 2.65], [-0.78, 2.61, 1.85], [0.74, 2.26, 0.92], [-1.72, 0.52, 0.56], [-0.87, -1.85, -1.03], [0.30, -3.63, 0.22], [1.61, -2.46, 0.76], [1.42, -0.03, -2.44], [0.84, 1.32, -1.76], [-1.38, 0.87, -2.24], [-1.74, -0.76, -4.21], [0.01, -1.09, -4.13]],
  "lowdin_charge": [-0.0008, -0.2193, -0.1580, -0.0415, -0.3761, -0.0490, -0.1116, 0.0438, -0.1352, -0.1800, 0.0353, 0.0843, 0.0629, 0.0904, 0.1488, 0.0788, 0.0713, 0.1560, 0.0298, 0.0547, 0.1367, 0.0802, 0.1147, 0.0232, 0.0607],
  "orbital_gap_ev": 9.7,
  "relative_energy_kcal_mol": 15.84,
  "smiles": "C=CCB[C@@](F)(C=C)CC=C",
  "energy_ha": -475.89534,
  "total_charge": 0
}

---

(2)
{
  "formula": "C18H30AsN2O6ReSSb",
  "method": "ωB97M-V/def2-TZVPD",
  "species": ["Re", "O", "As", "O", "O", "C", "C", "C", "C", "C", "C", "S", "O", "O", "O", "H", "H", "H", "H", "H", "N", "C", "C", "C", "N", "H", "H", "H", "H", "C", "C", "C", "Sb", "C", "C", "C", "C", "C", "C", "H", "H", "H", "H", "H", "H", "H", "H", "H", "H", "H", "H", "H", "H", "H", "H", "H", "H", "H", "H", "H"],
  "coordinates": [[-0.74, -1.30, -0.91], [3.70, -0.18, -0.48], [2.15, -0.70, 0.07], [1.39, 0.67, 0.74], [1.22, -0.92, -1.36], [2.63, -2.06, 1.32], [3.87, -1.92, 1.93], [4.27, -2.89, 2.86], [3.45, -3.96, 3.17], [2.20, -4.10, 2.56], [1.80, -3.15, 1.65], [0.22, -3.24, 0.92], [0.35, -3.41, -0.54], [-0.65, -4.10, 1.63], [-0.19, -1.73, 1.01], [3.81, -0.25, -1.45], [4.53, -1.10, 1.68], [5.23, -2.78, 3.34], [3.78, -4.70, 3.89], [1.55, -4.93, 2.81], [-3.14, -2.28, 0.75], [-4.24, -3.04, 0.68], [-4.52, -3.26, -0.65], [-3.52, -2.60, -1.34], [-2.67, -1.99, -0.49], [-2.61, -2.03, 1.56], [-4.74, -3.37, 1.58], [-5.34, -3.82, -1.06], [-3.36, -2.52, -2.41], [0.26, 4.39, -1.06], [0.99, 3.29, -0.30], [2.45, 3.17, -0.72], [-0.16, 1.48, -0.42], [-0.66, 1.40, -2.56], [0.61, 1.42, -3.40], [-1.58, 0.24, -2.90], [-1.61, 1.73, 1.14], [-2.62, 2.82, 0.77], [-0.90, 2.01, 2.45], [0.72, 5.36, -0.84], [-0.80, 4.49, -0.80], [0.33, 4.25, -2.14], [0.94, 3.46, 0.78], [2.56, 3.01, -1.79], [2.98, 2.39, -0.18], [2.94, 4.12, -0.49], [-1.20, 2.34, -2.60], [1.25, 0.57, -3.19], [1.17, 2.34, -3.27], [0.32, 1.36, -4.45], [-1.11, -0.78, -2.79], [-1.80, 0.20, -3.97], [-2.53, 0.27, -2.36], [-2.10, 0.76, 1.16], [-2.15, 3.81, 0.74], [-3.40, 2.87, 1.53], [-3.12, 2.64, -0.19], [-0.42, 2.99, 2.46], [-0.14, 1.26, 2.69], [-1.64, 2.01, 3.25]],
└──
-- The entry goes on --
In 1959 records show that membership consisted of 32 seniors and 14 juniors.
In 1963 there were ‘Summer Season’ and ‘Winter Season’ members. Apparently the winter of 1962-63 was so bad that little play was possible and the ‘Winter Members’ asked for a part refund of their subscription. This was put to the vote at the AGM but the request was denied. There were no club matches played in 1963 due to lack of support and interest by members.
In 1967 it was reported that the Council had agreed to resurface the courts.
In 1970 cash in hand at the club amounted to £200. It was agreed that in view of this healthy situation the Club should contribute 50% of the cost of new nets. The senior membership this year totalled 62.
In 1971 Mr. P. Holland was elected Chairman of the Club Committee. A Mr. J. Bowman was elected to the Committee; John Bowman was to serve as Committee member, Secretary, Treasurer and Chairman over the next 28 years. At the AGM there was initial discussion regarding a new hut and a third court.
The 1973 AGM reported that a new club hut had been ordered for £500(Council contribution £300). It had been agreed with Wargrave tennis Club that a joint Wargrave/Sonning team to be entered in the Berkshire League.
In 1974 a new hut had been installed. The very poor condition of the courts had been brought to the attention of the Parish Council.
There was no AGM in 1975 as the courts were resurfaced to all weather macadam and there was little play. The cost of resurfacing was £250 but because of exceptionally hot weather the courts took time to harden up.
In 1976 a coaching course for juniors was arranged.
In 1977 senior membership increased to 80 and there were 40 juniors. These numbers again emphasized the need for a third court. Mr. Mark Bodley-Scott became president of the club.
In 1979 a new Chairman Mr. Jim Ballard was elected. There was renewed discussion on third court. It was thought unlikely that the council would have any spare money for some years. The club would not qualify for a grant because it did not operate under a lease from the Parish Council. A supper dance was held.
In 1981, Michael Loudwell was elected secretary and John Bowman was made treasurer. Michael Loudwell was to remain secretary for 20 years.
In 1983 the council decided to double all sports rentals and advised clubs that they should be more responsible for their own affairs i.e. maintain courts, pitches and equipment. At the AGM it was reported that the Reading Cricket and Hockey Club were transferring from Earley to the top of Sonning Lane. Included in the plans was the inclusion of the Berkshire LTA centre with grass courts.
In 1984 the condition of the courts was causing concern. A subcommittee was set up to look into problems of resurfacing and the finance needed. Alan Furness became treasurer; he would serve for the next 19 years.
In 1985 it was reported that no authority would give a grant for resurfacing the courts, the Berkshire LTA had withdrawn from the link with Cricket and Hockey but the latter were still keen on a tennis connection. Cricket and Hockey had approached Sonning Tennis Club and meetings had taken place. It later transpired that although planning permission had been given for 4 courts the Cricket and Hockey Club were unwilling to allocate any finance for the laying of the tennis courts. If Sonning Club were to transfer to the Cricket and Hockey site then we had to find the finance (£40,000 was mentioned).
In early 1986 an Extraordinary General Meeting was called to discuss (i) the condition of the courts and (ii) the Cricket and Hockey approach. It was felt that we would be unable to raise £40,000. The Cricket and Hockey understood our problem and offered a joint association membership in that for a payment of £250 a year all Sonning Tennis Club members would become associate members of the Cricket and Hockey and could use their facilities. This was agreed. With regard to Sonning Club courts, resurfacing would cost £8000 and we were £3000 short. It was decided to launch an ‘interest free loan for members’ scheme to raise the balance. Members to lend in units of £25 to be repaid over 4 years. A draw at every AGM would decide who would be repaid that year.
Later in 1986 the parish Council agreed that the club could put on ‘leasehold’ footing so that a sinking fund could be set up for future resurfacing costs.
In this year Dora Ballard a long serving club member collapsed and died on court. Her daughter offered the club £100 to provide a memorial for Dora and Jimmy (her husband and previous chairman). It was decided to purchase the Ballard trophies.
Fund raising activities in 1986 included a Barn Dance at Sonning University farm. Over 300 people attended. Rick Lee a former pop drummer and a member of the Club agreed to organize and perform. The profits were divided equally between the Audiology Unit at Royal Berkshire Hospital. There was a Race evening for funds at the Blue Coat School.
‘Matchmaker’ resurfaced the courts.
In 1987 Geoffrey Roberts the owner of South Hill next to the courts was elected president. In October of that year the Great Hurricane caused one of the poplar trees between South Hill and the courts to be blown down across the courts. A working party was organized on the Saturday morning following the storm, the tree was sawn up and debris removed in time for club play in the afternoon.
In 1988 plans were formulated for the laying of a third court. This project would entail the moving of the clubhouse to a new site.
The affiliation with the Reading Cricket and Hockey Club was discontinued.
In early 1988 another Extraordinary General Meeting was called to discuss the Club moving to a licence arrangement. Under the terms of the licence the Club would pay 1/8th of the total surfacing cost to the Council each year. The Council would invest the money in a sinking fund that would earn interest. The 1/8th factor to be revised every four years to take into account inflation. The licence to run for 21 years. The Club had to nominate two trustees to sign the licence on behalf of the club. Mark Bodley-Scott and Les Farrant agreed to act as Club trustees. Following the licence agreement the Council would apply for a loan and grant to install a third court (VAT advantages if work carried in the name of the Council). During the summer of 1988 the Club House was moved to a new site and the third court was laid in the autumn. Total cost was £13,000; grants of £1500 had been obtained together with a loan of £6,000 from Wokingham District Council.
The Clubs financial year was changed to a year ending 30th September basis.
A Halloween party and dance was held in the Blue Coat School as a fund raising event.
In 1990 running water was supplied to the Clubhouse.
In 1991 Mike Oliver was elected President, Geoffrey Robert having moved away from South Hill. The two older courts were retextured and resprayed with colour. New kitchen units were filled in the Clubhouse.
In 1992 the Club Supper Dance, which had taken place for each of the previous ten years was cancelled due to lack of support/ Plans were drawn up to extend the Clubhouse to include toilets and changing rooms.
In 1993 the final loan instalment in respect of the third court was repaid to Wokingham District Council.
In 1994 there was a recruitment campaign for new members. Adverts were placed in the local press and a leaflet drop to every house in Charvil. Very disappointing campaign. In view of falling membership, plans for toilets etc were shelved.
In 1996 the club hired a surveyor to report on the condition of the new court, which showed signs of subsidence. The surveyor reported that the foundations of the court were inadequate. He also advised that the two older courts needed resurfacing. The club contractors (Match Makers) had gone into liquidation so there was no redress from that source.
The Club President Mike Oliver died.
A 50th Birthday dinner was held in Pearson Hall. Several past members attended.
In 1997 quotes were obtained to resurface all courts. The new court required additional work to reinforce the foundations. The Parish Council was somewhat reluctant to approve the work as a falling membership suggested that the Club might not be financially viable in the future. They also expressed concern about a new private club on our doorstep (Berkshire County Sports). This club had become private due to the dispersal of Berks County Council.
In 1998 meetings took place with Berks County with a view to a possible merger with Sonning Club. It transpired that Berks County had been given three years to make their club viable (i.e. no more subsidies from Wokingham after that time). It was thought that Sonning Club might have problems due to the regulations of the King George V Playing Fields Association.
The courts were eventually resurfaced in the autumn of 1998 together with new surround netting for the older courts. Because the work was carried out quite late in the year they were not colour sprayed (two tone green) until the spring of 1999.
A link was established with Sonning Primary School. The children to have use of the courts one morning a week in the summer. The Club approached the Sonning Fire Brigade Trust who agreed to buy junior tennis rackets for the school. The link proved beneficial in that several children and parents joined the Club as members.
John Bowman resigned as Chairman (moving away from Sonning) and Don Head was elected to the post. Norman Ayles was elected President.
Brenda Parsons presented the Club with the Parsons Trophies in memory of the late Tony Parsons.
In 1999 the annual supper dance was revived. The Club agreed to the ‘Woodley over 521’ Club using the courts on a Monday afternoon in the months of July and August for £2 per member per session.
In 2000 a summer club evening on Tuesdays was introduced/
In 2001 Alison Campbell was elected as Club secretary and is currently the Club Treasurer.
The Parish Council agreed that electricity be supplied to the Club House.
In 2002 Hilary Moss was elected Chairman, the first lady to hold the position. Michael Loudwell was elected President. Friendly matches with other clubs were organized.
In the winter of 2002-2003 the Club re-entered the Berkshire Winter League.
POST 2002/2003
The club continued to serve the local community and the courts were fully refurbished in 2008
Around this time, the new clubhouse was created, following extensive work from Chairman Hilary Moss and her committee - which is still in use today. This replaced the former, smaller clubhouse was on the opposite side of the courts, under the trees near what is now court 3.
In 2019, Tim Banks was elected chairman and remains in post, leading the committee today
2020/21 saw a boost in membership, when families were allowed out together following the restrictions of the Covid outbreak.
In 2021, the courts were repainted in the current Blue with Green surround - and the playing surface remains the "jewel in the club's crown" today.
Since 2021, the club continues to thrive, with around 140 members (approximately 100 adults and 40 juniors)